In which Zak S makes new friends


He's a painter, a porn actor, and an advocate of the American automobile of table-top RPGs, Dungeons & Dragons. Recent star of the Tropes Vs. Women thread, we present Zak S.

Any background anyone cares to add (because I can't be arsed to) would be appreciated.

A thread that is often complained about for being too P&C to not be in P&C having a thread split because it was getting off topic regarding the P of its particular C, where said split goes to P&C, feels very meta to me.

Bloo Driver wrote:

A thread that is often complained about for being too P&C to not be in P&C having a thread split because it was getting off topic regarding the P of its particular C, where said split goes to P&C, feels very meta to me.

I have no idea what you're even trying to say there. Trying to parse this sentence gave me a headache.

Ooh, I think I might enjoy reading this thread. Tagged.

So while I'm posting, a terrible, terrible joke that came to mind while reading the other thread: What do you call a male chauvinist pig?


A misowginist.

Hey I'm a writer, DND player, and porn connosiuer- where's my thread?!?

In all seriousness, Zak and his little entourage could make any GWJ slap and tickle a lot more interesting.

Since this particular line of conversation was shut down, I want to point out that even though Natalie Reed hasn't heard of it, 'morphodite' qualifies as a trans slur.

While it's fallen out of common use, it's a colloquial version of hermaphrodite, when applied to people, especially intersex or trans people, it's considered offensive.

e: Zak drops the slur here

And plays it off as satire, badly, here.

That's too bad. It sounds like an awesome term for, like, a robot dinosaur Decepticon.

As for my alleged general transphobia, anyone claiming that would have to explain why I am constantly a booster, fan, correspondent, and friend of trans people:

So, SocialChameleon, you are in error.

As a general rule, when someone is telling you that a word is a slur and should not be used... this is not the correct response. I have a black friend, just because she might not be offended by me dropping the n-word doesn't mean I have free reign to use it everywhere or act like it's fine if it offends some people because it doesn't offend other people.

Nope. I posted my opinion that your claim of using the word satirically was weak and open to interpretation, and didn't find your explanation credible. I will not apologize for having this opinion.

I have nothing to say about you and your general attitudes toward trans people, only the specific trans slur you used and your reaction when called on it.

e: Further, are you a trans person? Because I am - so please, continue to tell me what trans slurs are okay to use as long as you can say you used them about yourself.

Ok: if any trans- person anywhere on the planet from now until the end of time believes that was an attack on them instead of a joke about the hilariously toxic, hostile, and bigoted atmosphere of Something Awful's Grognards.txt thread and the meaningless omnidirectional outrage people who post there and, for years, have held a grudge because I didn't play the same game as them, I apologize for any pain it may have caused them.

It was unintentional, like accidentally leaving magnetic letters on the fridge in the wrong order.

As for you, SocialChameleon, you still have not explained why you claimed I was "playing it off badly": I was giving a 100% true explanation, which matches what I say here today now as well as all available facts.

I just did. It's entirely possible to rip on grogs.txt without using trans slurs to do it. I didn't claim you were lying, I said your explanation "it was a joke where I pretended to be a bad person" was a weak excuse.

"Weak excuse". Incorrect. It was a "true explanation".

When you use the word "weak" what does this word mean to you?

"Implausible"? Well, it was true and fairly obvious. So obvious everyone here can read it and see it.
"Incorrect"? This suggests I am still lying, which I am not. And there is zero evidence I was.

I suggest your motives for pointing this out are not pure. I think you have an axe to grind and are using this teeny sliver of an argument to try to grind it, SocialChameleon.

I had no idea who you even were until two days ago, dude. You used a trans slur and tried to justify it by saying the goons were mean to you.

I am a trans woman who was offended at your use of a slur against people like me and your attempts to make excuses for it. That's where my interest in you begins and ends.

Zak S wrote:

I had heard that word used once before, in the movie Stand By Me. I'd never heard it in any trans- context, didn't know what it meant.

Attached: crystal structures =
........
Record 1
The following is a DFT calculation (PBE) of crystalline K3Rh at its relaxed geometry.

space-group type: C2/m
magnetic moment: 0.003 μB/atom
energy of formation: 0.56 eV/atom

Unit cell a=6.767 b=6.767 c=6.201 alpha=105.41 beta=105.41 gamma=44.85
Sites, in units of the cell vectors:
1 K 0.000 0.000 0.000
2 K 0.343 0.343 0.374
3 K 0.657 0.657 0.626
4 Rh 0.000 0.000 0.500


Record 2
The following is a DFT calculation (PBE) of crystalline BaSmEuBiO6 at its relaxed geometry.

space-group type: P-1
E above lowest polymorph: 0.00 eV/f.u.
magnetic moment: 0.683 μB/atom
energy of formation: -2.80 eV/atom

Unit cell a=6.130 b=6.264 c=8.751 alpha=90.10 beta=90.26 gamma=90.10
Sites, in units of the cell vectors:
1 Ba 0.012 0.043 0.250
2 Ba 0.988 0.957 0.750
3 Sm 0.000 0.500 0.500
4 Sm 0.500 0.000 0.000
5 Eu 0.490 0.551 0.251
6 Eu 0.510 0.449 0.749
7 Bi 0.000 0.500 0.000
8 Bi 0.500 0.000 0.500
9 O 0.114 0.514 0.758
10 O 0.206 0.779 0.051
11 O 0.220 0.790 0.450
12 O 0.299 0.314 0.055
13 O 0.317 0.301 0.447
14 O 0.424 0.045 0.743
15 O 0.576 0.955 0.257
16 O 0.683 0.699 0.553
17 O 0.701 0.686 0.945
18 O 0.780 0.210 0.550
19 O 0.794 0.221 0.949
20 O 0.886 0.486 0.242


Record 3
The following is a DFT calculation (PBE) of crystalline La9Al5S21 at its relaxed geometry.

space-group type: R3
magnetic moment: 0.000 μB/atom
energy of formation: -2.13 eV/atom

Unit cell a=11.888 b=11.888 c=11.888 alpha=96.87 beta=96.87 gamma=96.87
Sites, in units of the cell vectors:
1 La 0.000 0.375 0.133
2 La 0.036 0.167 0.797
3 La 0.038 0.798 0.669
4 La 0.131 0.371 0.501
5 La 0.133 0.000 0.375
6 La 0.167 0.797 0.036
7 La 0.332 0.703 0.464
8 La 0.371 0.501 0.131
9 La 0.375 0.133 0.000
10 La 0.463 0.706 0.838
11 La 0.464 0.332 0.703
12 La 0.501 0.131 0.371
13 La 0.669 0.038 0.798
14 La 0.703 0.464 0.332
15 La 0.706 0.838 0.463
16 La 0.797 0.036 0.167
17 La 0.798 0.669 0.038
18 La 0.838 0.463 0.706
19 Al 0.079 0.079 0.079
20 Al 0.142 0.474 0.807
21 Al 0.264 0.264 0.264
22 Al 0.308 0.974 0.641
23 Al 0.474 0.807 0.142
24 Al 0.579 0.579 0.579
25 Al 0.641 0.308 0.974
26 Al 0.764 0.764 0.764
27 Al 0.807 0.142 0.474
28 Al 0.974 0.641 0.308
29 S 0.026 0.619 0.131
30 S 0.055 0.195 0.272
31 S 0.072 0.552 0.654
32 S 0.098 0.762 0.433
33 S 0.131 0.026 0.619
34 S 0.141 0.994 0.910
35 S 0.195 0.272 0.055
36 S 0.219 0.321 0.734
37 S 0.226 0.458 0.305
38 S 0.263 0.597 0.934
39 S 0.272 0.055 0.195
40 S 0.282 0.799 0.696
41 S 0.305 0.226 0.458
42 S 0.321 0.734 0.219
43 S 0.363 0.945 0.465
44 S 0.389 0.536 0.620
45 S 0.399 0.885 0.991
46 S 0.433 0.098 0.762
47 S 0.458 0.305 0.226
48 S 0.465 0.363 0.945
49 S 0.536 0.620 0.389
50 S 0.552 0.654 0.072
51 S 0.576 0.793 0.652
52 S 0.597 0.934 0.263
53 S 0.619 0.131 0.026
54 S 0.620 0.389 0.536
55 S 0.652 0.576 0.793
56 S 0.654 0.072 0.552
57 S 0.696 0.282 0.799
58 S 0.701 0.854 0.933
59 S 0.734 0.219 0.321
60 S 0.762 0.433 0.098
61 S 0.793 0.652 0.576
62 S 0.799 0.696 0.282
63 S 0.854 0.933 0.701
64 S 0.885 0.991 0.399
65 S 0.910 0.141 0.994
........

So your excuse is that you were trying to be clever and insult someone on an internet forum using a word you had only heard once in an 80s children's movie and didn't even know what it meant?

Never mind that there literally is no non-trans context of the word considering its etymology.

I'll just throw my word-use treatise out there as my comments on all of this.

Zak S wrote:

Yyyyyyyyyyup. Because the people on the forum talk and act exactly like Mean Kids in an 80s movie. Like I expected to be called "Darsh" any second and be challenged to a jet-ski battle on Mountainview Lake.

If you doubt me: read that thread. I dare you to come to any other conclusion.

I've already come to a different conclusion based on your posts.

I had heard that word used once before, in the movie Stand By Me. I'd never heard it in any trans- context, didn't know what it meant.

If you think I am "playing it off badly" (i.e. "Lying about why I said it") then why not look at the original exchange?
( )

Because he'd (i.e. Zak would) rather Grog(derogatory SA slang for people who like old games) about bullshit rather than actually play a loving game

Would it bother you if I told you about all the games I played this week and it turned out
to be a lot or would you just be like "Hey, its the internet, I make up facts and type them,
don't get mad about it." ?

I can vouch for this. Zak talks about games he is in on G+ (i.e. via Google plus video chat online) all the time. He plays more than anyone I know, in a variety of systems.

Mikan (i.e. Brandon Schmelz, one of the people who libels me a lot on line)
It's really impressive to play that many systems and still have bad old D&D opinions.

"I can vouch for this. Zak talks about games he is in on G+ (i.e. via Google plus video chat online) all the time. He plays more than anyone I know, in a variety of systems."
Just because he's too much of a Grog morphodite to play in person.

Wow, you're right guys, this IS fun.


So the target of my slur was…….me.

And, hey, read around the thread--it is a bizarre thread dedicated to conflating social justice issues with fourth-edition-D&D boosterism. So no matter what I say my words are twisted into an irrational attack because, basically, I had the temerity to like old D&D more than fourth edition.

As for my alleged general transphobia, anyone claiming that would have to explain why I am constantly a booster, fan, correspondent, and friend of trans people and have someone trans in my online gaming group:

So, SocialChameleon, you are in error.

But I still want to know what this "weak excuse" means to you. What I said was true, it was not a "weak excuse" it was a "true explanation". If it doesn't seem true to you, I will answer any question you have until it seems true.

You DO realize that those two descriptions of the event are not mutually exclusive right? If someone murders someone not knowing the law, their true explanation would be that they didn't know they were breaking the law... that doesn't stop it from being a weak excuse though either.

I'm pretty sure I explained this a bunch already, but one more go:

I mean your explanation why you used the word isn't a justification for using it, your explanation's sincerity or its factual correctness or whatever beef that's going on between SA and you is irrelevant.

I accept your apology.

Ok, thanks.

Is me not knowing what the word meant relevant to you, SocialChameleon? I mean: it would bother me if you thought I had used that word, even as a joke, if I knew it had a transphobic meaning.

I don't think it's whether you knew what it meant or not as much as how you react once you find out. I think the right way to respond when someone points it out is "Oh jeez, sorry." Not doubling down and making excuses.

I apologized. Twice.

Then addressed some other issues brought up by the incident.

Edit: Never mind! Already covered and accepted.

Yellek wrote:

I don't think it's whether you knew what it meant or not as much as how you react once you find out. I think the right way to respond when someone points it out is "Oh jeez, sorry." Not doubling down and making excuses.

Well that's the thing--what is the person pointing out, and how clear are they being about what they are pointing out? To riff off another post:

Demosthenes wrote:
But I still want to know what this "weak excuse" means to you. What I said was true, it was not a "weak excuse" it was a "true explanation". If it doesn't seem true to you, I will answer any question you have until it seems true.

You DO realize that those two descriptions of the event are not mutually exclusive right? If someone murders someone not knowing the law, their true explanation would be that they didn't know they were breaking the law... that doesn't stop it from being a weak excuse though either.

Or to make the analogy fit even better, it's like someone who kills someone else without intending to kill them. It's not murder, but it might be manslaughter. In this case, the explanation is enough to get you off on the charge of intentional bigotry, but not the charge of reckless(?) bigotry.

I've only skimmed the supplementary materials for this discussion, but the problem I often find is that people say things like "intent doesn't matter" and other confusing ways of putting it to someone who doesn't get the distinction already.

I'm less unhappy about people using slurs and not knowing they're slurs, yes. Now you know.

Excellent, SocialChameleon. Thank you--If there's anything you think I or my group can do to help out the cause of trans- gamers in the future using the platforms we have, don't hesitate to email me or tweet.

I know that the women in my group experience a lot of harassment on-line and Mandy's fairly active talking about that as well as about the difficulties of gaming because of her handicaps. Sometimes my blog or an article she's involved with can reach a different audience than usually concerns themselves with these issues.

Ok, well then I deeply and even more sincerely apologize, SocialChameleon.

Especially because the reason you even heard this was some cynical jerks who do have an axe to grind dug it up as the only example they could find of my alleged horribleness out of a calculated attempt to use trans- peoples' genuine anger about the prejudice they face every day to attack someone they're mad at for totally other reasons.

This is doubly sucky for everyone because it creates a Cry Wolf situation where there previously wouldn't be one.

And I am sorry I confused you--a person with genuine concerns--for one of them.

But I still want to know what this "weak excuse" means to you. What I said was true, it was not a "weak excuse" it was a "true explanation". If it doesn't seem true to you, I will answer any question you have until it seems true.

"So your excuse is that you were trying to be clever and insult someone on an internet forum using a word you had only heard once in an 80s children's movie and didn't even know what it meant?"

Yyyyyyyyyyup. Because the people on the forum talk and act exactly like Mean Kids in an 80s movie. Like I expected to be called "Darsh" any second and be challenged to a jet-ski battle on Mountainview Lake.

If you doubt me: read that thread. I dare you to come to any other conclusion.

I suggest changing the thread topic to be less about Zak and more about the D&D 5e Contributor fiasco, even if this was spawned mostly from Zak defending himself.

This thread is now about the insensitivity of the term "Oriental Adventures".

Zak, I'm happy to see you actually apologize. Clearly I haven't read everything you've ever written so if you had apologized elsewhere I've never seen it. Regardless, it was pretty clear to me SC was looking for an apology and less defensiveness and I'm glad you were willing and able to do so. I'm not making some big statement here to say a bit of humanity is destroyed in online communication, but it was definitely difficult to see past the defensive stand you were taking in this and the Tropes thread, it made you seem like an asshole. Like that's all there was to your online presence. I've heard Mandy say many good things about you and have "known" her for a good 8 years now so I feel fairly good about her opinions.

Anyway, kumbaya and all that jazz. Glad minds were able to meet at some point.

Well until SocialChameleon, I didn't know there was anyone who _wasn't_ part of the smear clique who took the thing seriously.

So I was too busy defending myself agains the charge of _actually being_ transphobic to realize that I may have inadvertently hurt some people who had no knowledge of the wider beef and just didn't like hearing that word, regardless of context.

So thanks SC for pointing that out. But I hope everybody can see where I'm coming from.
